== Request ==
Could you print the lines further down from the one with "-0.1925 2.1833" to the one with "0.6657 -1.7860" unchanged?

== File ==
- - -
Record 1
The following is a quantum chemistry calculation of an isolated molecule of C4H7N in a non-equilibrium geometry, from the Open Molecules 2025 dataset.

## Properties
* LUMO level: 1.16 eV
* Kohn-Sham gap: 8.83 eV

```
! RIJCOSX wB97M-V def2-TZVPD def2/J DEFGRID3
* xyz 0 1
C 1.9082 0.2260 0.8591
C 0.9868 -0.6359 0.9031
C -0.4222 -0.4813 0.4510
C -0.6898 0.2902 -0.6349
N -1.9234 0.4116 -1.2287
H 2.9655 -0.0851 0.9383
H 1.7969 1.3240 0.7153
H 1.0924 -1.7026 1.0891
H -1.1842 -1.0182 0.9144
H 0.0388 1.1287 -0.6788
H -2.1363 0.9896 -1.9786
H -2.4327 -0.4468 -1.3494
*
```

Mulliken population analysis, charges in e, atoms 1 to 6: atom 1 (C): -0.65, atom 2 (C): -0.04, atom 3 (C): -0.49, atom 4 (C): -0.10, atom 5 (N): -0.46, atom 6 (H): 0.21


Record 2
The following is a quantum chemistry calculation of a cluster of 2 separate species, C4H7N in total in a non-equilibrium geometry, from the Open Molecules 2025 dataset.

## Properties
* LUMO level: 0.30 eV
* Kohn-Sham gap: 7.39 eV

```
! RIJCOSX wB97M-V def2-TZVPD def2/J DEFGRID3
* xyz 0 1
C 2.7270 -0.5071 -0.1303
C -0.9346 0.1054 -0.8959
C 1.0008 1.2173 -0.0217
C -2.0269 0.1505 0.0954
N 1.9516 0.4868 -0.0488
H 3.0620 -0.8549 -1.0909
H 3.0855 -0.9804 0.7678
H -0.5124 -0.9151 -0.9511
H 0.9201 2.2736 0.0765
H -2.0957 1.1258 0.5760
H -2.9152 0.0587 -0.5428
H -2.0669 -0.6429 0.8517
*
```

Mulliken population analysis, charges in e, atoms 1 to 6: atom 1 (C): -0.42, atom 2 (C): -0.34, atom 3 (C): -0.17, atom 4 (C): -0.72, atom 5 (N): -0.08, atom 6 (H): 0.26


Record 3
The following is a quantum chemistry calculation of an isolated molecule of C4H7N in a non-equilibrium geometry, from the Open Molecules 2025 dataset.

## Properties
* LUMO level (alpha / beta): 1.12 / -1.98 eV
* Kohn-Sham gap (alpha / beta): 7.12 / 7.69 eV

```
! RIJCOSX wB97M-V def2-TZVPD def2/J DEFGRID3
* xyz 0 3
C -0.1781 0.5285 -0.6972
C -0.1630 -0.5936 0.2067
C 0.3071 0.3948 -2.0496
C -0.4158 -0.6935 1.6396
N 0.6931 1.4482 -2.6395
H -0.4332 1.5984 -0.5045
H 0.1892 -1.5290 -0.2873
H 0.4865 -0.6069 -2.5411
H 0.2699 -0.0124 2.1718
H -0.4199 -1.7798 2.0654
H -1.2911 -0.1193 1.8018
H 0.9606 1.3119 -3.6231
*
```

Mulliken population analysis, charges in e, atoms 1 to 6: atom 1 (C): -0.06, atom 2 (C): -0.24, atom 3 (C): -0.18, atom 4 (C): -0.86, atom 5 (N): -0.58, atom 6 (H): 0.33


Record 4
The following is a quantum chemistry calculation of the ion C4H7N2 with charge +1 in a non-equilibrium geometry, from the Open Molecules 2025 dataset.

## Properties
* LUMO level: -6.20 eV
* Kohn-Sham gap: 7.96 eV

```
! RIJCOSX wB97M-V def2-TZVPD def2/J DEFGRID3
* xyz 1 1
C -1.9761 -0.1388 0.0236
C -0.4862 -0.1559 0.0691
C 0.2409 0.9684 -0.0957
N 1.7039 0.9774 -0.0944
C 2.1545 -0.1839 0.1098
N 1.6465 -1.2759 0.1550
H -2.5637 0.7398 -0.4474
H -2.2736 -0.1910 1.1336
H -2.4509 -1.0344 -0.5674
H 0.0511 -1.1382 0.2617
H -0.0653 1.8762 -0.5619
H 2.2233 1.8525 -0.3240
H 1.7956 -2.2962 0.3380
*
```

Mulliken population analysis, charges in e, atoms 1 to 6: atom 1 (C): -1.08, atom 2 (C): -0.01, atom 3 (C): -0.21, atom 4 (N): -0.10, atom 5 (C): 0.40, atom 6 (N): -0.26


Record 5
The following is a quantum chemistry calculation of a structure of composition C4H7N2 in a non-equilibrium geometry, from the Open Molecules 2025 dataset.

## Properties
* LUMO level (alpha / beta): -5.03 / -5.03 eV
* Kohn-Sham gap (alpha / beta): 10.46 / 10.46 eV

```
! RIJCOSX wB97M-V def2-TZVPD def2/J DEFGRID3
* xyz 1 1
C 0.3686 -1.5536 0.3149
C -0.4592 1.1589 -0.4312
C -0.7176 0.5978 0.9438
C 0.6756 0.1456 -0.4832
N 0.6261 -1.1487 -0.9121
N 0.4676 -0.3029 0.8837
H 0.0076 -2.4180 0.7676
H -1.4435 1.1096 -0.9630
H -0.1925 2.1833 -0.4032
H -0.4734 1.2957 1.6918
H -1.6087 0.1321 1.2015
H 2.0837 0.5862 -0.8348
H 0.6657 -1.7860 -1.7757
*
```

Mulliken population analysis, charges in e, atoms 1 to 6: atom 1 (C): 0.01, atom 2 (C): -0.52, atom 3 (C): -0.49, atom 4 (C): 0.15, atom 5 (N): -0.16, atom 6 (N): -0.20


Record 6
- - -

== Done ==
H -0.1925 2.1833 -0.4032
H -0.4734 1.2957 1.6918
H -1.6087 0.1321 1.2015
H 2.0837 0.5862 -0.8348
H 0.6657 -1.7860 -1.7757